-- Contents --
=====
[1]
Computed, not measured: a structure of composition C31H56N3O3P2V in a non-equilibrium geometry, with ωB97M-V/def2-TZVPD.

```
96
Properties=species:S:1:pos:R:3
C 2.18625 -1.31468 -0.89519
C 1.17891 0.51981 -1.96355
C 3.14872 -1.38825 -1.90467
C 2.07007 0.45258 -3.02720
C 3.06532 -0.52491 -2.99684
H 3.91905 -2.15241 -1.81423
H 1.98222 1.16650 -3.84940
H 3.77524 -0.61584 -3.82307
N 1.27520 -0.32819 -0.91233
P 0.34175 -2.50396 0.83358
P -0.23877 2.20706 -0.12825
C 2.07851 -2.32532 0.23592
H 2.47492 -3.30525 -0.07978
H 2.69135 -1.99123 1.09096
C -1.52739 -0.24813 1.84437
O -2.35213 -0.34178 2.68012
C -0.03078 1.41455 -1.89976
H 0.01543 2.23774 -2.62351
C -1.83013 3.23364 -0.20289
C 1.24103 3.34623 0.14288
C -0.53935 -3.60106 -0.43729
C 0.50539 -3.34811 2.51633
C -2.96401 2.37759 0.39418
H -2.85495 2.26099 1.48148
H -3.91862 2.89208 0.19517
H -3.01272 1.37674 -0.05711
C -1.73078 4.52633 0.61744
H -1.51065 4.32504 1.67137
H -0.98707 5.22199 0.21484
H -2.70740 5.03233 0.57843
C -2.18369 3.58618 -1.65513
H -2.97899 4.35094 -1.64381
H -1.33986 4.01445 -2.21402
H -2.56879 2.70989 -2.19836
C 1.13981 3.93011 1.57847
H 0.56439 3.27283 2.24475
H 2.14767 4.02274 2.00808
H 0.69266 4.93213 1.59423
C 2.52144 2.50420 0.06439
H 2.44750 1.61978 0.70861
H 2.73869 2.18755 -0.96209
H 3.36598 3.10649 0.42894
C 1.27315 4.45248 -0.93669
H 0.59315 4.27087 -1.77822
H 1.05091 5.43911 -0.50963
H 2.28163 4.50956 -1.37038
C -0.91521 -3.56516 3.05915
H -0.84404 -4.05697 4.04040
H -1.44353 -2.61192 3.19348
H -1.52287 -4.20485 2.40688
C 1.25924 -2.40395 3.47296
H 2.25347 -2.13728 3.09152
H 0.69149 -1.48094 3.64906
H 1.39781 -2.91896 4.43782
C 1.28474 -4.67580 2.44160
H 2.12357 -4.63725 1.73513
H 1.71075 -4.89004 3.43178
H 0.64453 -5.52832 2.19038
C -0.05447 -3.26532 -1.85144
H 0.99964 -3.53140 -2.00409
H -0.65148 -3.83365 -2.58083
H -0.17943 -2.20091 -2.07589
C -2.05482 -3.31911 -0.29290
H -2.39989 -2.61662 -1.06313
H -2.60851 -4.26660 -0.39698
H -2.32901 -2.87194 0.67596
C -0.24388 -5.09166 -0.21536
H 0.83572 -5.29833 -0.21149
H -0.70558 -5.48305 0.69926
H -0.67770 -5.65268 -1.05696
V -0.38252 -0.20900 0.43212
N -1.52782 -0.28552 -1.07095
C -1.29039 0.44425 -2.07777
C -2.02319 0.34902 -3.44135
C -1.51530 1.38110 -4.44995
C -1.69004 -1.03712 -4.00179
C -3.55293 0.48097 -3.20969
H -1.68765 2.41103 -4.10975
H -0.44314 1.21912 -4.63262
H -2.04837 1.25263 -5.40689
H -2.03426 -1.82961 -3.32208
H -2.16727 -1.20272 -4.98116
H -0.60320 -1.12485 -4.14233
H -4.01484 1.16750 -3.93573
H -4.04518 -0.49509 -3.33321
H -3.78996 0.83923 -2.19804
N 1.98768 0.72720 5.42999
C 2.45557 1.27139 4.12191
C 1.22827 1.00608 3.26616
O 0.15145 1.28017 3.83822
O 1.41923 0.46326 2.12668
H 1.07803 1.19980 5.59412
H 2.65447 0.87114 6.19139
H 1.81616 -0.28454 5.33579
H 2.61141 2.35777 4.19871
H 3.35291 0.77814 3.76080
```

* HOMO energy (spin up / spin down): -9.009 / -10.066 eV
* charge: +1
* ⟨S²⟩: 3.78
* 2S+1: 4
* HOMO-LUMO gap (spin up / spin down): 6.371 / 7.422 eV



[2]
Computed, not measured: the molecule C2H2N2OS2 in a non-equilibrium geometry, with ωB97M-V/def2-TZVPD.

```
9
Properties=species:S:1:pos:R:3
O -2.40618 -0.15066 0.28510
C -1.20074 -0.02968 -0.00340
S -0.27129 -1.49933 -0.04361
N 1.46829 -1.20391 -0.21146
C 1.98375 -0.12546 0.05725
N 1.24004 1.07814 0.22471
S -0.29962 1.59105 -0.23352
H 3.07880 -0.02812 0.58151
H 1.64891 1.57712 1.15587
```

* HOMO energy: -9.099 eV
* SMILES string: O=C1SN=CNS1
* charge: 0
* HOMO-LUMO gap: 9.304 eV
* energy above the lowest of the compared OMol25 structures with the same formula, charge and spin: 32.87 kcal per mole



[3]
Computed, not measured: the ion C3H10N3O with charge +1 in a non-equilibrium geometry, with ωB97M-V/def2-TZVPD.

```
17
Properties=species:S:1:pos:R:3
N -0.24358 -1.99968 -1.74307
C 0.43253 -1.66748 -0.56189
O 1.39801 -0.65533 -0.47550
C 0.13995 -0.27526 -0.21217
N -0.25259 0.78781 -1.00870
C -0.16110 0.27260 1.49801
N -0.08107 1.76338 1.44997
H -0.52723 -1.14718 -2.15089
H 0.04450 -2.78061 -2.23294
=====

-- What to do --
It remains to transcribe the whole of the listing above verbatim.

-- Written answer --
[1]
Computed, not measured: a structure of composition C31H56N3O3P2V in a non-equilibrium geometry, with ωB97M-V/def2-TZVPD.

```
96
Properties=species:S:1:pos:R:3
C 2.18625 -1.31468 -0.89519
C 1.17891 0.51981 -1.96355
C 3.14872 -1.38825 -1.90467
C 2.07007 0.45258 -3.02720
C 3.06532 -0.52491 -2.99684
H 3.91905 -2.15241 -1.81423
H 1.98222 1.16650 -3.84940
H 3.77524 -0.61584 -3.82307
N 1.27520 -0.32819 -0.91233
P 0.34175 -2.50396 0.83358
P -0.23877 2.20706 -0.12825
C 2.07851 -2.32532 0.23592
H 2.47492 -3.30525 -0.07978
H 2.69135 -1.99123 1.09096
C -1.52739 -0.24813 1.84437
O -2.35213 -0.34178 2.68012
C -0.03078 1.41455 -1.89976
H 0.01543 2.23774 -2.62351
C -1.83013 3.23364 -0.20289
C 1.24103 3.34623 0.14288
C -0.53935 -3.60106 -0.43729
C 0.50539 -3.34811 2.51633
C -2.96401 2.37759 0.39418
H -2.85495 2.26099 1.48148
H -3.91862 2.89208 0.19517
H -3.01272 1.37674 -0.05711
C -1.73078 4.52633 0.61744
H -1.51065 4.32504 1.67137
H -0.98707 5.22199 0.21484
H -2.70740 5.03233 0.57843
C -2.18369 3.58618 -1.65513
H -2.97899 4.35094 -1.64381
H -1.33986 4.01445 -2.21402
H -2.56879 2.70989 -2.19836
C 1.13981 3.93011 1.57847
H 0.56439 3.27283 2.24475
H 2.14767 4.02274 2.00808
H 0.69266 4.93213 1.59423
C 2.52144 2.50420 0.06439
H 2.44750 1.61978 0.70861
H 2.73869 2.18755 -0.96209
H 3.36598 3.10649 0.42894
C 1.27315 4.45248 -0.93669
H 0.59315 4.27087 -1.77822
H 1.05091 5.43911 -0.50963
H 2.28163 4.50956 -1.37038
C -0.91521 -3.56516 3.05915
H -0.84404 -4.05697 4.04040
H -1.44353 -2.61192 3.19348
H -1.52287 -4.20485 2.40688
C 1.25924 -2.40395 3.47296
H 2.25347 -2.13728 3.09152
H 0.69149 -1.48094 3.64906
H 1.39781 -2.91896 4.43782
C 1.28474 -4.67580 2.44160
H 2.12357 -4.63725 1.73513
H 1.71075 -4.89004 3.43178
H 0.64453 -5.52832 2.19038
C -0.05447 -3.26532 -1.85144
H 0.99964 -3.53140 -2.00409
H -0.65148 -3.83365 -2.58083
H -0.17943 -2.20091 -2.07589
C -2.05482 -3.31911 -0.29290
H -2.39989 -2.61662 -1.06313
H -2.60851 -4.26660 -0.39698
H -2.32901 -2.87194 0.67596
C -0.24388 -5.09166 -0.21536
H 0.83572 -5.29833 -0.21149
H -0.70558 -5.48305 0.69926
H -0.67770 -5.65268 -1.05696
V -0.38252 -0.20900 0.43212
N -1.52782 -0.28552 -1.07095
C -1.29039 0.44425 -2.07777
C -2.02319 0.34902 -3.44135
C -1.51530 1.38110 -4.44995
C -1.69004 -1.03712 -4.00179
C -3.55293 0.48097 -3.20969
H -1.68765 2.41103 -4.10975
H -0.44314 1.21912 -4.63262
H -2.04837 1.25263 -5.40689
H -2.03426 -1.82961 -3.32208
H -2.16727 -1.20272 -4.98116
H -0.60320 -1.12485 -4.14233
H -4.01484 1.16750 -3.93573
H -4.04518 -0.49509 -3.33321
H -3.78996 0.83923 -2.19804
N 1.98768 0.72720 5.42999
C 2.45557 1.27139 4.12191
C 1.22827 1.00608 3.26616
O 0.15145 1.28017 3.83822
O 1.41923 0.46326 2.12668
H 1.07803 1.19980 5.59412
H 2.65447 0.87114 6.19139
H 1.81616 -0.28454 5.33579
H 2.61141 2.35777 4.19871
H 3.35291 0.77814 3.76080
```

* HOMO energy (spin up / spin down): -9.009 / -10.066 eV
* charge: +1
* ⟨S²⟩: 3.78
* 2S+1: 4
* HOMO-LUMO gap (spin up / spin down): 6.371 / 7.422 eV



[2]
Computed, not measured: the molecule C2H2N2OS2 in a non-equilibrium geometry, with ωB97M-V/def2-TZVPD.

```
9
Properties=species:S:1:pos:R:3
O -2.40618 -0.15066 0.28510
C -1.20074 -0.02968 -0.00340
S -0.27129 -1.49933 -0.04361
N 1.46829 -1.20391 -0.21146
C 1.98375 -0.12546 0.05725
N 1.24004 1.07814 0.22471
S -0.29962 1.59105 -0.23352
H 3.07880 -0.02812 0.58151
H 1.64891 1.57712 1.15587
```

* HOMO energy: -9.099 eV
* SMILES string: O=C1SN=CNS1
* charge: 0
* HOMO-LUMO gap: 9.304 eV
* energy above the lowest of the compared OMol25 structures with the same formula, charge and spin: 32.87 kcal per mole



[3]
Computed, not measured: the ion C3H10N3O with charge +1 in a non-equilibrium geometry, with ωB97M-V/def2-TZVPD.

```
17
Properties=species:S:1:pos:R:3
N -0.24358 -1.99968 -1.74307
C 0.43253 -1.66748 -0.56189
O 1.39801 -0.65533 -0.47550
C 0.13995 -0.27526 -0.21217
N -0.25259 0.78781 -1.00870
C -0.16110 0.27260 1.49801
N -0.08107 1.76338 1.44997
H -0.52723 -1.14718 -2.15089
H 0.04450 -2.78061 -2.23294